Brief:
Set down all of the notes below character by character.

Given:
<<<
For Rb2H8O5, a crystal structure in the Materials Project, relaxed with PBE gives the computed powder diffractogram in this record (Cu Ka).

Peak list (10 most intense, 10 to 90 degrees two-theta, most intense first)
2θ = 33.76°, I 100, (2 2 -4); 2θ = 13.58°, I 95, (0 0 2); 2θ = 27.40°, I 59, (0 2 2); 2θ = 36.41°, I 55, (4 2 0); 2θ = 23.69°, I 51, (4 0 -2); 2θ = 23.56°, I 45, (2 0 2); 2θ = 36.57°, I 38, (6 0 -4); 2θ = 36.30°, I 34, (2 0 4); 2θ = 33.60°, I 27, (1 1 4); 2θ = 27.26°, I 20, (4 0 0)

Crystal structure
```
data_Rb2H8O5
_chemical_formula_sum 'Rb16 H64 O40'
_cell_length_a 15.035
_cell_length_b 7.515
_cell_length_c 14.999
_cell_angle_alpha 90.00
_cell_angle_beta 119.48
_cell_angle_gamma 90.00
_symmetry_space_group_name_H-M 'C 1 c 1'
_symmetry_Int_Tables_number 9
loop_
_symmetry_equiv_pos_as_xyz
'x,y,z'
'x,-y,z+1/2'
'x+1/2,y+1/2,z'
'x+1/2,-y+1/2,z+1/2'
loop_
_atom_site_label
_atom_site_fract_x
_atom_site_fract_y
_atom_site_fract_z
_atom_site_occupancy
Rb1 0.000 0.003 0.000 1
Rb2 0.030 0.017 0.756 1
Rb3 0.260 0.495 0.138 1
Rb4 0.282 0.020 0.142 1
H1 0.055 0.287 0.902 1
H2 0.074 0.370 0.638 1
H3 0.085 0.357 0.163 1
H4 0.102 0.328 0.431 1
H5 0.178 0.300 0.932 1
H6 0.179 0.293 0.269 1
H7 0.179 0.310 0.778 1
H8 0.192 0.249 0.420 1
H9 0.306 0.235 0.794 1
H10 0.316 0.297 0.365 1
H11 0.340 0.285 0.506 1
H12 0.342 0.286 0.991 1
H13 0.418 0.144 0.864 1
H14 0.425 0.141 0.373 1
H15 0.429 0.153 0.585 1
H16 0.448 0.146 0.079 1
O1 0.014 0.445 0.594 1
O2 0.132 0.267 0.958 1
O3 0.133 0.256 0.195 1
O4 0.141 0.218 0.444 1
O5 0.190 0.235 0.731 1
O6 0.269 0.338 0.389 1
O7 0.377 0.267 0.065 1
O8 0.386 0.254 0.829 1
O9 0.387 0.257 0.583 1
O10 0.441 0.226 0.334 1
```

~~~~~

Simulated powder diffraction line list
Compound: Mg6MnCrO8
Radiation: copper Kα
Structure: DFT lattice parameters and positions (GGA+U)

Largest 10 diffraction maxima, in order of falling intensity, 2θ from 10° to 90°:
2theta, Rel. int., hkl
41.41, 100, 2 0 0
60.78, 54, 2 0 4
42.42, 46, 0 0 4
35.95, 34, 1 1 2
60.00, 28, 2 2 0
76.22, 25, 2 2 4
20.36, 15, 1 0 0
29.30, 12, 1 0 2
71.97, 12, 3 1 2
90.00, 8, 4 0 0

```
data_Mg6MnCrO8
_chemical_formula_sum 'Mg6 Mn1 Cr1 O8'
_space_group_name_H-M_alt 'P 4/m m m'
_space_group_IT_number 123
_space_group_name_Hall '-P 4 2'
_cell_length_a 4.361
_cell_length_b 4.361
_cell_length_c 8.523
_cell_angle_alpha 90.00
_cell_angle_beta 90.00
_cell_angle_gamma 90.00
loop_
_atom_site_label
_atom_site_type_symbol
_atom_site_fract_x
_atom_site_fract_y
_atom_site_fract_z
_atom_site_occupancy
Mg1 Mg 0.000 0.000 0.000 1
Mg2 Mg 0.000 0.000 0.500 1
Mg3 Mg 0.000 0.500 0.247 1
Mn1 Mn 0.500 0.500 0.500 1
Cr1 Cr 0.500 0.500 0.000 1
O1 O 0.000 0.000 0.251 1
O2 O 0.000 0.500 0.000 1
O3 O 0.000 0.500 0.500 1
O4 O 0.500 0.500 0.244 1
```

~~~~~

# Pr2Mo4O15
Calculated X-ray powder pattern, Cu Kα (weighted mean of Kα1 and Kα2). Input: a GGA+U-relaxed structure.

Top 10 peaks for 10° ≤ 2θ ≤ 80°, low angle first:
2theta, I (rel.)
22.34, 100
23.89, 35
24.28, 65
24.38, 29
25.16, 63
26.30, 39
27.57, 27
28.01, 27
28.63, 39
29.57, 32

Cell and atoms:
```
Pr2Mo4O15
1.0
7.525 0.000 0.000
0.745 7.638 0.000
1.276 0.149 11.938
Pr Mo O
4 8 30
direct
0.180 0.090 0.223 Pr
0.257 0.590 0.778 Pr
0.743 0.410 0.222 Pr
0.820 0.910 0.777 Pr
0.063 0.750 0.474 Mo
0.226 0.572 0.128 Mo
0.272 0.075 0.871 Mo
0.404 0.332 0.468 Mo
0.596 0.668 0.532 Mo
0.728 0.925 0.129 Mo
0.774 0.428 0.872 Mo
0.937 0.250 0.526 Mo
0.073 0.407 0.180 O
0.084 0.739 0.622 O
0.122 0.948 0.405 O
0.147 0.908 0.815 O
0.163 0.783 0.187 O
0.168 0.287 0.553 O
0.203 0.572 0.413 O
0.208 0.100 0.017 O
0.223 0.597 0.980 O
0.235 0.285 0.805 O
0.367 0.235 0.339 O
0.417 0.521 0.597 O
0.447 0.492 0.157 O
0.466 0.829 0.469 O
0.496 0.002 0.153 O
0.504 0.998 0.847 O
0.534 0.171 0.531 O
0.553 0.508 0.843 O
0.583 0.479 0.403 O
0.633 0.765 0.661 O
0.765 0.715 0.195 O
0.777 0.403 0.020 O
0.792 0.900 0.983 O
0.797 0.428 0.587 O
0.832 0.713 0.447 O
0.837 0.217 0.813 O
0.853 0.092 0.185 O
0.878 0.052 0.595 O
0.916 0.261 0.378 O
>>>

Solution:
For Rb2H8O5, a crystal structure in the Materials Project, relaxed with PBE gives the computed powder diffractogram in this record (Cu Ka).

Peak list (10 most intense, 10 to 90 degrees two-theta, most intense first)
2θ = 33.76°, I 100, (2 2 -4); 2θ = 13.58°, I 95, (0 0 2); 2θ = 27.40°, I 59, (0 2 2); 2θ = 36.41°, I 55, (4 2 0); 2θ = 23.69°, I 51, (4 0 -2); 2θ = 23.56°, I 45, (2 0 2); 2θ = 36.57°, I 38, (6 0 -4); 2θ = 36.30°, I 34, (2 0 4); 2θ = 33.60°, I 27, (1 1 4); 2θ = 27.26°, I 20, (4 0 0)

Crystal structure
```
data_Rb2H8O5
_chemical_formula_sum 'Rb16 H64 O40'
_cell_length_a 15.035
_cell_length_b 7.515
_cell_length_c 14.999
_cell_angle_alpha 90.00
_cell_angle_beta 119.48
_cell_angle_gamma 90.00
_symmetry_space_group_name_H-M 'C 1 c 1'
_symmetry_Int_Tables_number 9
loop_
_symmetry_equiv_pos_as_xyz
'x,y,z'
'x,-y,z+1/2'
'x+1/2,y+1/2,z'
'x+1/2,-y+1/2,z+1/2'
loop_
_atom_site_label
_atom_site_fract_x
_atom_site_fract_y
_atom_site_fract_z
_atom_site_occupancy
Rb1 0.000 0.003 0.000 1
Rb2 0.030 0.017 0.756 1
Rb3 0.260 0.495 0.138 1
Rb4 0.282 0.020 0.142 1
H1 0.055 0.287 0.902 1
H2 0.074 0.370 0.638 1
H3 0.085 0.357 0.163 1
H4 0.102 0.328 0.431 1
H5 0.178 0.300 0.932 1
H6 0.179 0.293 0.269 1
H7 0.179 0.310 0.778 1
H8 0.192 0.249 0.420 1
H9 0.306 0.235 0.794 1
H10 0.316 0.297 0.365 1
H11 0.340 0.285 0.506 1
H12 0.342 0.286 0.991 1
H13 0.418 0.144 0.864 1
H14 0.425 0.141 0.373 1
H15 0.429 0.153 0.585 1
H16 0.448 0.146 0.079 1
O1 0.014 0.445 0.594 1
O2 0.132 0.267 0.958 1
O3 0.133 0.256 0.195 1
O4 0.141 0.218 0.444 1
O5 0.190 0.235 0.731 1
O6 0.269 0.338 0.389 1
O7 0.377 0.267 0.065 1
O8 0.386 0.254 0.829 1
O9 0.387 0.257 0.583 1
O10 0.441 0.226 0.334 1
```

~~~~~

Simulated powder diffraction line list
Compound: Mg6MnCrO8
Radiation: copper Kα
Structure: DFT lattice parameters and positions (GGA+U)

Largest 10 diffraction maxima, in order of falling intensity, 2θ from 10° to 90°:
2theta, Rel. int., hkl
41.41, 100, 2 0 0
60.78, 54, 2 0 4
42.42, 46, 0 0 4
35.95, 34, 1 1 2
60.00, 28, 2 2 0
76.22, 25, 2 2 4
20.36, 15, 1 0 0
29.30, 12, 1 0 2
71.97, 12, 3 1 2
90.00, 8, 4 0 0

```
data_Mg6MnCrO8
_chemical_formula_sum 'Mg6 Mn1 Cr1 O8'
_space_group_name_H-M_alt 'P 4/m m m'
_space_group_IT_number 123
_space_group_name_Hall '-P 4 2'
_cell_length_a 4.361
_cell_length_b 4.361
_cell_length_c 8.523
_cell_angle_alpha 90.00
_cell_angle_beta 90.00
_cell_angle_gamma 90.00
loop_
_atom_site_label
_atom_site_type_symbol
_atom_site_fract_x
_atom_site_fract_y
_atom_site_fract_z
_atom_site_occupancy
Mg1 Mg 0.000 0.000 0.000 1
Mg2 Mg 0.000 0.000 0.500 1
Mg3 Mg 0.000 0.500 0.247 1
Mn1 Mn 0.500 0.500 0.500 1
Cr1 Cr 0.500 0.500 0.000 1
O1 O 0.000 0.000 0.251 1
O2 O 0.000 0.500 0.000 1
O3 O 0.000 0.500 0.500 1
O4 O 0.500 0.500 0.244 1
```

~~~~~

# Pr2Mo4O15
Calculated X-ray powder pattern, Cu Kα (weighted mean of Kα1 and Kα2). Input: a GGA+U-relaxed structure.

Top 10 peaks for 10° ≤ 2θ ≤ 80°, low angle first:
2theta, I (rel.)
22.34, 100
23.89, 35
24.28, 65
24.38, 29
25.16, 63
26.30, 39
27.57, 27
28.01, 27
28.63, 39
29.57, 32

Cell and atoms:
```
Pr2Mo4O15
1.0
7.525 0.000 0.000
0.745 7.638 0.000
1.276 0.149 11.938
Pr Mo O
4 8 30
direct
0.180 0.090 0.223 Pr
0.257 0.590 0.778 Pr
0.743 0.410 0.222 Pr
0.820 0.910 0.777 Pr
0.063 0.750 0.474 Mo
0.226 0.572 0.128 Mo
0.272 0.075 0.871 Mo
0.404 0.332 0.468 Mo
0.596 0.668 0.532 Mo
0.728 0.925 0.129 Mo
0.774 0.428 0.872 Mo
0.937 0.250 0.526 Mo
0.073 0.407 0.180 O
0.084 0.739 0.622 O
0.122 0.948 0.405 O
0.147 0.908 0.815 O
0.163 0.783 0.187 O
0.168 0.287 0.553 O
0.203 0.572 0.413 O
0.208 0.100 0.017 O
0.223 0.597 0.980 O
0.235 0.285 0.805 O
0.367 0.235 0.339 O
0.417 0.521 0.597 O
0.447 0.492 0.157 O
0.466 0.829 0.469 O
0.496 0.002 0.153 O
0.504 0.998 0.847 O
0.534 0.171 0.531 O
0.553 0.508 0.843 O
0.583 0.479 0.403 O
0.633 0.765 0.661 O
0.765 0.715 0.195 O
0.777 0.403 0.020 O
0.792 0.900 0.983 O
0.797 0.428 0.587 O
0.832 0.713 0.447 O
0.837 0.217 0.813 O
0.853 0.092 0.185 O
0.878 0.052 0.595 O
0.916 0.261 0.378 O